All-Heavens Spellcaster

Chapter 1223

The birthplace, also known as the "incubator", is the root of the birth of life in the whole spiritual world.

If according to Byron\'s description, the world is a huge annular belt formed around the material universe, then the birthplace is located at the four equal nodes of the whole ring.

you \'re right!

It is not unique, but scattered in four different places.

However, one of them has been captured by Byron a long time ago and has undergone a series of transformation.

At present, it is quite different from the other three birthplaces that are still in the original ecological environment.

Looking at the huge pond that can\'t see the end in front and the things that are constantly decomposed and aggregated in the pond, Zhang Cheng couldn\'t help sighing and asked Byron standing beside him: "you cut off its connection with the world, didn\'t you?"

"Oh? Can you feel it?" the latter tone revealed a trace of surprise.

You know, he used some dark means to ensure that the birthplace would not collapse completely.

In particular, through deception, the whole spiritual world mistakenly thinks that the birthplace is still operating normally. Normally, outsiders can\'t detect the subtle changes in the deepest part of the pool.

"Of course!" Zhang Cheng nodded without thinking. "You replaced the will of the world with your own will, but you were very careful not to destroy the fragile balance and cycle. If I guessed correctly, the life you created can no longer be regarded as the original life of the spiritual world, nor can it be fully accepted and recognized by the world. The reason why they are not regarded as intruders is entirely from the huge pond itself."

"You guessed right! At least you guessed most of them right. I believe you can also see that the life of the spiritual world originates from the aggregation of spiritual forces. When a large number of spiritual forces dissipated in the environment are absorbed, they will reappear from the four huge pools. They carry the residual consciousness of their former masters, where they constantly collide, intersect and integrate, and finally produce brand-new ones one by one Life. When these ignorant new lives come out of the pool, they will carry out several rounds of cruel fighting and elimination. Finally, the winner is qualified to enter the wider world outside. "Byron explained, pointing to the large area of new life in front, killing and swallowing each other like madmen in the open space.

As he said, these new lives obviously have strong instability, and they don\'t see too many characteristics of wisdom.

But with the increasing killing and swallowing, some of the madness in their eyes will gradually subside, replaced by fear and hesitation.

Soon, those who have acquired the initial wisdom will quickly escape from the purgatory like battlefield and flee in a hurry in all directions.

Because of the lack of memory, like newborn babies, they need to observe and learn for a period of time before they can really understand themselves and the world.

However, most of them will die in the new stage, only a few are qualified to survive, and become more and more powerful with wisdom.

"Interesting! Do you want to set off a species competition and let your creation completely replace the primitive life in the spiritual world?" Zhang Cheng said with a smile on his lips.

According to his understanding of environment and life, in a relatively closed world, a newly rising species is bound to compete fiercely with the original species, and even threaten the survival of the latter.

Although this competition may last for a very, very long time, and even form a virtuous circle of common progress and common development for a period of time, the final result must be that one party will eliminate the other.

It can be predicted that with the increasing number of intelligent life, sooner or later they will break the monopoly of the overlord on absolute power, and even capture the other three birthplaces to overwhelmingly replace those primitive life like beasts.

"Ha ha! You really surprise me more and more! You know? You are the first guy who can talk with me and understand my thoughts and ideas over the years. That\'s right! I want to change the spiritual world and brand my own mark here." Byron grinned wildly.

In the laughter, he could vaguely feel the anger accumulated in his heart.

After all, as the first born master of the material universe, arrogance and conceit have penetrated into his soul.

He could not bear the fact that he was not trapped in the world, so he wanted to retaliate in this way.

you \'re right!

He is taking revenge on the whole spiritual world and the lives living in this world.

Destruction and death!

That\'s what he\'s going to bring to the world.

If someone else had heard this, they might have trembled, feared, and even regarded it as a disaster that must be hit.

But Zhang Cheng, who was also dark and evil in his heart, didn\'t care about it at all. Instead, he smiled and exclaimed: "Leave your own mark? It\'s really a great idea and plan. I\'m looking forward to the day when your creation replaces the original life in the spiritual world. At that time, an interesting civilization system will emerge, and they will derive all kinds of ideas, knowledge and technology."

"I\'m glad that someone like you finally appeared. Come on, let\'s go to the other three birthplaces to enjoy the rough and crazy primitive life and the mystery of the birth of overlord." then Byron raised his hand and summoned the huge flying creatures wandering in the sky.

In the spiritual world, although ultra long-distance transmission is not impossible, the spiritual power that can be consumed is amazing. No one will joke about his life in order to save a little time.

"The secret of the birth of overlord?" Zhang Cheng raised his eyebrows in surprise.

He never dreamed that the other party would share this secret related to the whole spiritual world with himself.

"Hehe, don\'t be so surprised. Believe me, with your intelligence, you will find this secret sooner or later. All I have done is to advance the time a little. What\'s more, does time still have meaning in this world?"

With the last word blurted out, Byron directly pulled Zhang Cheng up, jumped onto the back of the flying creature, and then headed for the next birthplace at a very fast speed.

After all, the spiritual world is a huge annular belt around the periphery of the material universe, and its magnitude can not be estimated by anyone\'s imagination.

Even with this creature\'s extremely special way of flying, it will take a very, very long time to reach the next birthplace.

-- Misplaced data records --
____________
# 1
Density functional theory data (GGA-PBE) for a relaxed structure of AsPdSe3.

Summary:
Crystal system: cubic
Energy, eV per atom: -3.3286

Cell: 4.9956 4.9956 4.9956 Å, 90.00 90.00 90.00°
Element x y z (fractional)
As (0.0000, 0.0000, 0.0000)
Se (0.0000, 0.5000, 0.0000)
Se (0.0000, 0.0000, 0.5000)
Se (0.5000, 0.0000, 0.0000)
Pd (0.5000, 0.5000, 0.5000)


# 2
Density functional theory data (GGA-PBE) for a relaxed structure of PmAs2W.

Summary:
Crystal system: trigonal
Energy of formation, eV per atom: 0.42

Cell: 3.0569 3.0569 10.3251 Å, 81.49 81.49 60.00°
Element x y z (fractional)
As (0.0839, 0.0839, 0.7483)
As (0.9161, 0.9161, 0.2517)
W (0.0000, 0.0000, 0.0000)
Pm (0.5000, 0.5000, 0.5000)


# 3
Density functional theory data (GGA-PBE) for a relaxed structure of La2PuBi3Rh4.

Summary:
Crystal system: tetragonal
Energy of formation, eV per atom: -0.35

Cell: 4.7801 4.7801 10.5381 Å, 90.00 90.00 90.00°
Each line ends with the local moment (μB).
Element x y z (fractional)
La (0.5000, 0.0000, 0.2238)  0.00
La (0.0000, 0.5000, 0.7762)  0.00
Pu (0.5000, 0.5000, 0.5000)  0.46
Bi (0.0000, 0.0000, 0.5000)  -0.01
Bi (0.5000, 0.0000, 0.8703)  0.01
Bi (0.0000, 0.5000, 0.1297)  0.01
Rh (0.5000, 0.5000, 0.0000)  0.08
Rh (0.0000, 0.0000, 0.0000)  0.07
Rh (0.5000, 0.0000, 0.6165)  -0.04
Rh (0.0000, 0.5000, 0.3835)  -0.04


no.,N(E_F) (states/eV/cell),magnetic moment (μB/atom)
1,7.8,0.000
2,4.0,0.000
3,15.3,0.056


(1)
# AlTeAu2

AlTeAu2 after structural relaxation (PBE-GGA, Alexandria via LeMat-Bulk).

Unit cell a=4.253 b=4.581 c=4.581 alpha=81.76 beta=90.00 gamma=90.00
Atoms (fractional coordinates):
Te (0.500, 0.250, 0.250)
Au (0.000, 0.962, 0.962)
Au (0.000, 0.538, 0.538)
Al (0.500, 0.750, 0.750)

Properties
The raw formation energy is -150 meV per atom. The space-group type is No. 65. The calculation puts the spin magnetization at 0.00 μB/cell.

(2)
# AlTe2Au

AlTe2Au after structural relaxation (PBE-GGA, Alexandria via LeMat-Bulk).

Unit cell a=12.791 b=12.791 c=12.791 alpha=13.78 beta=13.78 gamma=13.78
Atoms (fractional coordinates):
Te (0.075, 0.075, 0.075)
Te (0.925, 0.925, 0.925)
Au (0.500, 0.500, 0.500)
Al (0.000, 0.000, 0.000)

Properties
The raw formation energy is 284 meV per atom. The space-group type is No. 166. The calculation puts the spin magnetization at 0.00 μB/cell.

(3)
# AlTe2Au

AlTe2Au after structural relaxation (PBE-GGA, Alexandria via LeMat-Bulk).

Unit cell a=6.587 b=6.591 c=6.766 alpha=89.58 beta=89.93 gamma=89.95
Atoms (fractional coordinates):
Te (0.642, 0.695, 0.373)
Te (0.583, 0.253, 0.877)
Te (0.025, 0.194, 0.377)
Te (0.085, 0.636, 0.873)
Au (0.834, 0.944, 0.875)
Au (0.334, 0.444, 0.375)
Al (0.833, 0.444, 0.625)
Al (0.834, 0.444, 0.125)

Properties
The raw formation energy is -315 meV per atom. The space-group type is No. 2. The calculation puts the spin magnetization at 0.00 μB/cell.

(4)
# AlTeAu2

AlTeAu2 after structural relaxation (PBE-GGA, Alexandria via LeMat-Bulk).
____________

Apart from Byron, no one knows whether this process is 100 years, 1000 years, 10000 years, millions of years or hundreds of millions of years